To do.
Work out how many lines further down have the word "chemistry" in them; a number is enough.

Input.
+++
# 1
The following is a quantum chemistry calculation of a cluster of 3 separate species, C17H18Br6FN3O3 in total, from the Open Molecules 2025 dataset.

The HOMO energy comes out at -8.6 eV. As for the total energy: -451502.986 eV.

```
48
Properties=species:S:1:pos:R:3:lowdin_charge:R:1
N -2.86348 0.79162 -4.00055 0.19
C -1.76083 0.67186 -4.31351 -0.30
O -0.44504 0.40219 -4.39420 0.05
C 0.03848 0.19076 -3.07209 -0.15
C 0.10940 -1.06514 -2.61384 0.06
C 0.58752 -1.27926 -1.18579 -0.34
O 0.97607 -2.39580 -0.86233 -0.33
C 0.54117 -0.10025 -0.21461 -0.09
C 0.57363 -0.40898 1.18795 0.06
C 0.57222 0.70126 2.09600 -0.17
F 0.60333 0.47441 3.43491 0.07
C 0.50700 2.05541 1.59691 -0.17
N 0.52387 3.08903 2.57496 0.10
C 0.43443 2.36261 0.18158 -0.20
N 0.33302 3.66580 -0.36663 0.08
C 0.47038 1.25153 -0.74309 0.00
C 0.41123 1.43244 -2.25697 -0.25
O 0.61355 2.47306 -2.82976 0.14
H -0.20608 -1.87814 -3.29448 0.10
H 0.59727 -1.44940 1.54069 0.06
H 0.13646 3.94046 2.17419 0.02
H -0.06972 2.86793 3.37314 0.10
H -0.00555 4.34734 0.30286 0.06
H 1.18926 3.96745 -0.83218 0.03
Br -2.64174 -3.05820 -4.16437 0.66
C -3.26710 -3.74000 -2.44866 -0.67
C -4.03446 -2.69221 -1.68462 -0.66
Br -2.84234 -1.38444 -0.87191 0.69
H -2.39265 -4.10399 -1.91374 0.03
H -3.91249 -4.58106 -2.69727 0.06
H -4.56853 -3.14475 -0.85034 0.06
H -4.73676 -2.13817 -2.30228 0.05
Br 0.28115 -3.74848 0.51257 0.96
C 0.00366 -5.13686 1.88850 -0.63
C -0.44213 -6.43892 1.27440 -0.70
Br -2.32535 -6.37649 0.76869 0.59
H -0.71090 -4.74060 2.60866 0.05
H 0.97392 -5.25360 2.37105 0.05
H -0.36984 -7.25460 1.99352 0.05
H 0.11696 -6.70157 0.37916 0.05
Br 3.38566 4.04297 0.54751 0.73
C 3.96028 5.49612 1.70672 -0.67
C 3.02941 5.65442 2.87975 -0.68
Br 1.37435 6.54198 2.35644 0.64
H 4.02860 6.38777 1.08918 0.05
H 4.95739 5.21591 2.04281 0.06
H 3.47210 6.30135 3.63582 0.06
H 2.75021 4.70706 3.33515 0.04
```

---

# 2
The following is a quantum chemistry calculation of a structure of composition C17H18BrF5O19S, from the Open Molecules 2025 dataset.

The HOMO energy comes out at -10.6 eV. As for the total energy: -151288.122 eV.

```
61
Properties=species:S:1:pos:R:3:lowdin_charge:R:1
O 3.87776 0.78406 -3.48323 -0.22
S 3.15036 0.18195 -4.54824 0.60
O 3.87370 -0.27234 -5.67659 -0.21
O 2.23788 -0.97773 -3.89751 -0.18
C 0.84129 -0.60546 -4.07107 -0.18
C 0.94929 0.88451 -3.96840 -0.75
Br -0.64494 1.87504 -4.25014 0.90
O 1.93767 1.12426 -5.01126 -0.23
H 0.15500 -1.04804 -3.36036 0.11
H 0.60024 -0.91148 -5.08824 0.14
H 1.41556 1.17625 -3.03032 0.10
C -0.05390 2.58150 -9.82632 -0.05
C 0.87640 1.82424 -8.90338 -0.31
O 0.24559 1.98603 -7.64615 0.10
C -1.08926 2.14610 -7.86805 -0.56
O -1.92485 2.05891 -7.03595 0.12
O -1.31878 2.41202 -9.17726 0.07
F 2.11218 2.37190 -8.85990 0.08
H 0.20024 3.64152 -9.85954 0.14
H -0.08186 2.18270 -10.83625 0.14
H 0.96844 0.75936 -9.12381 0.18
C -1.91690 1.48337 -0.00073 -0.03
C -2.21389 0.44217 1.05407 -0.32
O -2.04172 -0.77203 0.33366 0.14
C -1.14193 -0.53178 -0.64937 -0.57
O -0.58011 -1.37265 -1.27089 0.16
O -0.96363 0.79729 -0.82585 0.04
F -3.48898 0.51866 1.49695 0.09
H -2.80179 1.72997 -0.58824 0.15
H -1.48866 2.39545 0.40518 0.14
H -1.53737 0.45483 1.90428 0.14
C 2.72244 -0.95910 2.81390 -0.04
C 1.55252 -0.08262 2.42545 -0.29
O 0.84869 0.04550 3.64785 0.10
C 1.76799 -0.07595 4.65622 -0.56
O 1.56575 0.23948 5.77756 0.19
O 2.92389 -0.58540 4.18164 0.09
F 0.74219 -0.68594 1.51550 0.08
H 2.46271 -2.01644 2.75802 0.12
H 3.61630 -0.77229 2.22586 0.15
H 1.82819 0.90688 2.05709 0.18
C -2.26305 0.61727 6.37687 -0.05
C -1.67106 1.39665 5.23787 -0.30
O -2.37969 2.62102 5.29696 0.13
C -2.75618 2.80669 6.60164 -0.55
O -3.14222 3.83081 7.04778 0.18
O -2.60891 1.65617 7.30261 0.08
F -1.91928 0.78989 4.04217 0.06
H -3.16600 0.08609 6.07340 0.15
H -1.55692 -0.08482 6.80737 0.12
H -0.60139 1.57963 5.33405 0.16
C -0.28445 -4.67888 3.53015 -0.04
C 1.09393 -4.36596 4.07142 -0.30
O 0.90325 -3.09163 4.65841 0.12
C -0.40731 -3.00472 5.03765 -0.53
O -0.83701 -2.17617 5.76201 0.19
+++

Response.
2